The REIT Newsletter for Advisors • Winter 2021
Closing the Commercial Real Estate Exposure Gap
By John D. Worth, Nareit Executive Vice President, Research & Investor Outreach
Today, 83% of financial advisors invest their clients in REITs and the most frequently referenced attribute they cite is “portfolio diversification.” These advisors have tapped into a strategy used by a majority of institutional investors: allocate a meaningful share of an investment portfolio to commercial real estate.
REITs provide investors with a means of gaining commercial real estate exposure and are present in most major stock indexes. However, to fully achieve the benefits of commercial real estate in a well-diversified portfolio, investors need to hold REITs in excess of their market weight in most stock market indexes.

For decades, institutional investors have been investing in the real estate asset class, recognizing the important role it plays within investment portfolios to help build adiversified portfolio and manage risk. The attributes commercial real estate bring to a portfolio are well documented:
- Exposure to the distinct real estate economic cycle, which differs from the macro cycle for most other equities and bonds due to real estate supply inelasticity; this reduces the correlation of investment returns from real estate with the returns from other assets
- Competitive, long-term investment returns that potentially provide high and growing income from rents plus moderate capital appreciation over time
- Potential inflation hedging attributes due in part to the fact many leases are tied to inflation and that real asset values tend to increase in response to rising replacement costs
Real estate is a critical part of the U.S. economy. In fact, the commercial real estate industry owns structures that house nearly all economic activity. Not surprising, in addition to stocks, bonds, and cash, commercial real estate is a core asset class and accounts for a meaningful share of the overall investable universe available to investors. As Chart 1 shows, commercial real estate is the third largest asset class in the U.S. market basket—representing 14% of the investable universe.

### Materials data, as found in the file
+++
# LiReSe2

LiReSe2 after structural relaxation (PBE, Alexandria).

Summary:
Formation energy (no corrections): -0.15 eV/atom
Energy above the lowest structure with this stoichiometry: 95 meV/atom
Spin magnetization: 0.00 μB per formula unit
Volume: 189.57 Å³ per cell
Symmetry: I-42d (122)

abc: 7.015 7.015 7.015
angles: 131.51 131.51 71.00
Fractional positions:
Li1 0.000 0.000 0.000
Li2 0.750 0.250 0.500
Re1 0.250 0.750 0.500
Re2 0.500 0.500 0.000
Se1 0.154 0.625 0.029
Se2 0.375 0.404 0.529
Se3 0.596 0.125 0.971
Se4 0.875 0.846 0.471

***

# MgPaTi

MgPaTi after structural relaxation (PBE, Alexandria).

Summary:
Formation energy: 0.527 eV per atom
Energy above the lowest structure with this stoichiometry: 401 meV/atom
Spin magnetization: 0.00 μB per formula unit
Volume: 136.44 Å³ per cell
Symmetry: C2/m (12)

abc: 4.112 4.112 8.185
angles: 96.47 96.47 86.21
Fractional positions:
Mg1 0.241 0.241 0.007
Mg2 0.759 0.759 0.993
Pa1 0.418 0.418 0.645
Pa2 0.582 0.582 0.355
Ti1 0.054 0.054 0.338
Ti2 0.946 0.946 0.662

***

# K2UTlO5

K2UTlO5 after structural relaxation (PBE, Alexandria).

Summary:
Formation energy (no corrections): -2.05 eV/atom
Spin magnetization: 0.57 μB per formula unit
Volume: 174.50 Å³ per cell
Symmetry: Immm (71)

abc: 7.401 7.401 7.401
angles: 145.41 129.97 62.25
Fractional positions:
K1 0.224 0.224 0.000
K2 0.776 0.776 0.000
U1 0.000 0.500 0.500
Tl1 0.500 0.000 0.500
O1 0.000 0.000 0.000
O2 0.103 0.385 0.719
O3 0.334 0.615 0.719
O4 0.666 0.385 0.281
O5 0.897 0.615 0.281

***

# GaAs2Ir

GaAs2Ir after structural relaxation (PBE, Alexandria).

Summary:
Formation energy: -0.039 eV per atom
Spin magnetization: 0.00 μB per formula unit
Volume: 182.80 Å³ per cell
Symmetry: I-42d (122)

abc: 6.856 6.856 6.856
angles: 130.36 130.36 72.84
Fractional positions:
Ga1 0.000 0.000 0.000
Ga2 0.750 0.250 0.500
As1 0.146 0.625 0.021
As2 0.375 0.396 0.521
As3 0.604 0.125 0.979
As4 0.875 0.854 0.479
Ir1 0.250 0.750 0.500
Ir2 0.500 0.500 0.000

* * * * *

Density functional theory data (PBE) for crystalline LaInSn2 at its relaxed geometry.

Computed properties:
M_tot = 0.00 μB/f.u.
ΔH_f (0 K) = -0.339 eV per atom
E_tot = -4.26 eV per atom

Lattice parameters (Å, degrees): 8.441 8.441 6.756 90.00 90.00 90.00
Space group I-42d (No. 122)
Unique sites:
La1 0.000 0.000 0.000 x4
In1 0.000 0.000 0.500 x4
Sn1 0.216 0.250 0.625 x8

* * * * *

1.
First-principles (GGA-PBE) data for a relaxed structure of Zr2CrBr, as listed in the Alexandria database.

Values from the calculation:
Its density of states at the Fermi level is 3.2 states/eV/f.u. The calculation puts the uncorrected energy at -28.59 eV/f.u. Its crystal system is trigonal. The value obtained for the energy relative to the elements, uncorrected is -48 meV per atom.

```
Zr2CrBr
1.0
8.5039 0.0135 0.0080
7.8335 3.3095 0.0080
7.8335 1.5933 2.9007
Br Cr Zr
1 1 2
Cartesian
6.0428 1.2291 0.7292
18.1283 3.6873 2.1876
0.2554 0.0519 0.0308
11.8301 2.4062 1.4276
```

=====

2.
+++

However, most individual investors are underallocated to commercial real estate. Chart 2 compares the real estate exposure in common large-, mid- and small-cap equity strategies with the 14% commercial real estate share of the investable universe in the U.S. As the chart shows, investors using standard equity strategies are underallocated to commercial real estate relative to what it represents as a share of the investable universe. By definition, this underallocation results in a portfolio with higher risk and lower returns.
Studies have shown that adding REITs to a basic portfolio consisting of stocks, bonds, and cash provides meaningful diversification benefits. This diversification is derived in part from the fact that REITs provide stable and reliable dividends to investors. Over long holding periods, REIT dividend yields have been consistently higher than the dividend yield of S&P 500 constituents. As I’ll discuss below, research from Morningstar and others formalizes this concept and suggests that this underallocation leads to lower long-term returns for a given level of risk.

Attached: data records:
┌──
No. 1
The following is a PBE-GGA calculation of crystalline FeRu2Au at its relaxed geometry, from Alexandria.

Lattice parameters (Å, degrees): 4.7239 2.7619 4.7285 90.00 109.37 90.00
Closest atoms and distances in Å follow each position.
Space group P2/m (No. 10)
Inequivalent atoms, fractional coordinates:
Fe 0.0000 0.0000 0.0000 (multiplicity 1)  6 Ru 2.73-2.74, 4 Au 2.74, 2 Fe 2.76
Ru 0.0000 0.5000 0.5000 (multiplicity 1)  2 Au 2.73, 6 Ru 2.74-2.76, 4 Fe 2.74
Ru 0.5000 0.0000 0.5000 (multiplicity 1)  2 Fe 2.73, 6 Ru 2.74-2.76, 4 Au 2.74
Au 0.5000 0.5000 0.0000 (multiplicity 1)  6 Ru 2.73-2.74, 4 Fe 2.74, 2 Au 2.76

Computed properties:
The energy above the most stable polymorph in this dataset comes out at 0.130 eV per atom. The formation enthalpy at 0 K comes out at 32 kJ per mole of atoms. As for the calculated density: 12.98 g cm⁻³.

***

No. 2
The following is a PBE-GGA calculation of crystalline Pr4BiS2 at its relaxed geometry, from Alexandria.

Lattice parameters (Å, degrees): 4.2832 13.6308 14.0121 90.00 90.00 90.00
Closest atoms and distances in Å follow each position.
Space group Cmcm (No. 63)
Inequivalent atoms, fractional coordinates:
Pr 0.0000 0.0000 0.0000 (multiplicity 4)  4 S 2.92
Pr 0.0000 0.2630 0.1130 (multiplicity 8)  3 S 2.82-2.89
Pr 0.0000 0.4347 0.7500 (multiplicity 4)  2 S 2.81
Bi 0.0000 0.1118 0.7500 (multiplicity 4)  6 Pr 3.23-3.34
S 0.0000 0.3684 0.5600 (multiplicity 8)  6 Pr 2.81-2.92

Computed properties:
The formation energy without anion corrections is -1.432 eV per atom. As for the calculated density: 6.79 g cm⁻³.

***

No. 3
The following is a PBE-GGA calculation of crystalline BaSrAc2 at its relaxed geometry, from Alexandria.

Lattice parameters (Å, degrees): 4.0984 4.0984 41.0530 90.00 90.00 120.00
Closest atoms and distances in Å follow each position.
Space group R3m (No. 160, hexagonal axes)
Inequivalent atoms, fractional coordinates:
Ba 0.0000 0.0000 0.0000 (multiplicity 3)  6 Ba 4.10, 6 Ac 4.19-4.21
Sr 0.0000 0.0000 0.8339 (multiplicity 3)  6 Sr 4.10, 6 Ac 4.11-4.13
Ac 0.0000 0.0000 0.2492 (multiplicity 3)  6 Ac 4.10, 3 Sr 4.11, 3 Ba 4.19
Ac 0.0000 0.0000 0.4181 (multiplicity 3)  6 Ac 4.10, 3 Sr 4.13, 3 Ba 4.21

Computed properties:
The energy above the most stable polymorph in this dataset comes out at 0.035 eV per atom. The formation enthalpy at 0 K comes out at 9 kJ per mole of atoms. As for the calculated density: 5.66 g cm⁻³.

***

No. 4
The following is a PBE-GGA calculation of crystalline AcThPtI at its relaxed geometry, from Alexandria.

Lattice parameters (Å, degrees): 4.3300 4.3300 25.2976 90.00 90.00 120.00
Closest atoms and distances in Å follow each position.
└──

What accounts for this commercial real estate exposure gap? Nareit estimates that just 10% of all commercial real estate and 20% of the higher quality investment grade commercial real estate is owned by the REIT industry. Most commercial real estate is owned through private or non-listed investment strategies compared with other sectors of the economy. This is in sharp contrast to most sectors of the stock market where nearly all major constituents are publicly traded. For this reason, investors need to hold REITs in excess of index market-cap weights in order to obtain meaningful exposure to the commercial real estate asset class.
Over the past few decades, assets have become increasingly correlated. This increasing co-movement between asset classes—especially equity—has challenged advisors to identify investments to better diversify their clients’ portfolios. As noted, the ability of REITs to provide access to meaningful diversification opportunities is increasing recognized by advisors. Chart 3 below compares the correlations of several widely used equity strategies with the total stock market over the last 20-plus years. As the chart shows, REIT have a much lower correlation than any of the alternatives, including small cap, value, and international strategies.

**Between two parts of the article: materials data**
# 1
The following is a DFT calculation (PBE) of an optimized crystal structure of DyCoSn.

Structure (POSCAR):
```
DyCoSn
1.0
6.9638 0.0000 0.0000
0.0000 4.3874 0.0000
0.0000 0.0000 7.7964
Dy Co Sn
4 4 4
direct
0.0208 0.2500 0.1876
0.4792 0.7500 0.6876
0.5208 0.2500 0.3124
0.9792 0.7500 0.8124
0.2240 0.7500 0.3931
0.2760 0.2500 0.8931
0.7240 0.7500 0.1069
0.7760 0.2500 0.6069
0.1679 0.2500 0.5722
0.3321 0.7500 0.0722
0.6679 0.2500 0.9278
0.8321 0.7500 0.4278
```

## Properties
For the total energy, the calculation gives -17.18 eV per formula unit. Its space group is Pnma, No. 62. Its total magnetization is 0.005 μB/f.u.

# 2
The following is a DFT calculation (PBE) of an optimized crystal structure of LiHfPt2.

Structure (POSCAR):
```
LiHfPt2
1.0
-2.0779 2.0779 3.6728
2.0779 -2.0779 3.6728
2.0779 2.0779 -3.6728
Li Hf Pt
1 1 2
direct
0.0000 0.0000 0.0000
0.5000 0.5000 0.0000
0.2500 0.7500 0.5000
0.7500 0.2500 0.5000
```

## Properties
For the total energy, the calculation gives -27.82 eV per formula unit. Its space group is I4/mmm, No. 139. Its total magnetization is 0.002 μB/f.u.

# 3
The following is a DFT calculation (PBE) of an optimized crystal structure of Nd2PtO4.

Structure (POSCAR):
```
Nd2PtO4
1.0
-2.0137 2.0137 6.1132
2.0137 -2.0137 6.1132
2.0137 2.0137 -6.1132
Nd Pt O
2 1 4
direct
0.1533 0.1533 0.0000
0.8467 0.8467 0.0000
0.5000 0.5000 0.0000
0.0000 0.5000 0.5000
0.2500 0.7500 0.5000
0.5000 0.0000 0.5000
0.7500 0.2500 0.5000
```

## Properties
For the total energy, the calculation gives -52.36 eV per formula unit. Its space group is I4/mmm, No. 139. Its total magnetization is 0.120 μB/f.u.

# 4
The following is a DFT calculation (PBE) of an optimized crystal structure of Mo3AuC2.

Structure (POSCAR):
```
Mo3AuC2
1.0
3.0603 0.0000 0.0000
-1.5301 2.6503 0.0000
0.0000 0.0000 19.1652
Mo Au C
6 2 4
direct
0.0000 0.0000 0.0000
0.0000 0.0000 0.5000
0.3333 0.6667 0.1267
0.3333 0.6667 0.3733
0.6667 0.3333 0.6267
0.6667 0.3333 0.8733
0.0000 0.0000 0.2500
0.0000 0.0000 0.7500
0.3333 0.6667 0.5690
0.3333 0.6667 0.9310
0.6667 0.3333 0.0690
0.6667 0.3333 0.4310
```

## Properties
For the total energy, the calculation gives -53.71 eV per formula unit. Its space group is P6_3/mmc, No. 194. Its total magnetization is 0.021 μB/f.u.

# 5
The following is a DFT calculation (PBE) of an optimized crystal structure of CdFeGeS3.

Structure (POSCAR):
```
CdFeGeS3
1.0
1.8458 -6.1188 0.0000
1.8458 6.1188 0.0000
0.0000 0.0000 10.8287
Cd Fe Ge S
2 2 2 6
direct
0.0000 0.0000 0.0000
0.0000 0.0000 0.5000
0.4695 0.5305 0.7500
0.5305 0.4695 0.2500
0.2126 0.7874 0.2500
0.7874 0.2126 0.7500
0.0872 0.9128 0.7500
0.3570 0.6430 0.5809
0.3570 0.6430 0.9191
0.6430 0.3570 0.0809
0.6430 0.3570 0.4191
0.9128 0.0872 0.2500
```

## Properties
For the total energy, the calculation gives -27.31 eV per formula unit. Its space group is Cmcm, No. 63. Its total magnetization is 3.995 μB/f.u.

# 6
The following is a DFT calculation (PBE) of an optimized crystal structure of Na2TaTeO6.

The key role commercial real estate plays is highlighted in a new Morningstar Associates analysis, sponsored by Nareit, that found the optimal portfolio allocation to REITs ranges up to 13%. As illustrated in Chart 4, the Morningstar analysis shows that the inclusion of REITs in a portfolio may increase the return for a given level of risk. The following table depicts five portfolios targeting different levels of risk. For example, a moderate portfolio targeting a 10% standard deviation and 4.4% return allocates 7.5% to REITs, and an aggressive portfolio targeting a 14% standard deviation and 5.8% return is estimated to have a 13% REIT allocation.
Chart 4

In this analysis, Morningstar used Black-Litterman methodology, a mean-optimization methodology well respected by the institutional investment community, and Morningstar Investment Management’s assumptions. The findings of the Morningstar analysis are consistent with the results of other studies conducted by Morningstar, Ibbotson Associates supporting a REIT allocation between 5% and 15%.
Resources including research on determining an appropriate REIT allocation for investors as well as a searchable data base for performance data for REIT mutual funds and ETFs are available at Nareit’s website at and at
John D. Worth is executive vice president for research and investor outreach at Nareit. He leads Nareit’s internal and external research efforts and directs Nareit’s investor outreach and education initiatives. Nareit’s research focuses on the role of REITs and real estate in diversified portfolios and commercial real estate market dynamics. The investor outreach program brings Nareit’s research insights to U.S. and global institutional investors. Prior to joining Nareit, Mr. Worth founded the Office of the Chief Economist of the National Credit Union Administration (NCUA) from 2010 and 2015. He led NCUA’s participation on the Financial Stability Oversight Council, the organization composed of the heads of the federal financial regulators and charged with identifying risks to financial stability. Prior to joining NCUA, Mr. Worth spent nearly a decade at the U.S. Treasury where he served as the director of the Office of Microeconomic Analysis and served as acting deputy assistant secretary for microeconomics during 2008. At Treasury, he led a team that oversaw policy development and research on a broad range of issue including entitlements, health care, housing issues, and private pensions. He was a primary author of the Bush Administration proposal that became the Pension Protection Act of 2006. After 2006, Mr. Worth was deeply engaged in housing and financial crisis response, including the development and execution of TARP programs and was one of the primary architects of the homeowner assistance and mortgage modification programs. Mr. Worth has also worked as a consultant for Welch Consulting and the RAND Corporation. He is a graduate of George Washington University and holds a Ph.D. in economics from the University of Southern California.